Material =
-- begin --
# PBE+U ScMoAsO5, relaxed
# Crystal system   monoclinic
# Final energy   -7.2172 eV/atom
# Volume   431.47 Å³ per cell
data_ScMoAsO5
_chemical_formula_sum 'Sc4 Mo4 As4 O20'
_cell_length_a 6.664
_cell_length_b 9.222
_cell_length_c 7.599
_cell_angle_alpha 90.00
_cell_angle_beta 112.49
_cell_angle_gamma 90.00
_space_group_name_H-M_alt 'C 1 2/c 1'
_space_group_IT_number 15
loop_
_space_group_symop_operation_xyz
'x,y,z'
'-x,-y,-z'
'-x,y,-z+1/2'
'x,-y,z+1/2'
'x+1/2,y+1/2,z'
'-x+1/2,-y+1/2,-z'
'-x+1/2,y+1/2,-z+1/2'
'x+1/2,-y+1/2,z+1/2'
loop_
_atom_site_label
_atom_site_type_symbol
_atom_site_fract_x
_atom_site_fract_y
_atom_site_fract_z
Sc1 Sc 0.000 0.000 0.000
Mo1 Mo 0.000 0.313 0.250
As1 As 0.000 0.316 0.750
O1 O 0.000 0.084 0.250
O2 O 0.136 0.202 0.650
O3 O 0.169 0.428 0.922

=====

Record 1
Material: La2Cd2Sb
Method: DFT, PBE
State: optimized geometry

Cell lengths 7.883, 7.883, 4.807 Å; angles 90.00, 90.00, 90.00 degrees
Atoms (fractional coordinates):
La 0.328 0.172 0.500
La 0.828 0.328 0.500
La 0.172 0.672 0.500
La 0.672 0.828 0.500
Cd 0.373 0.873 0.000
Cd 0.127 0.373 0.000
Cd 0.627 0.127 0.000
Cd 0.873 0.627 0.000
Sb 0.500 0.500 0.000
Sb 0.000 0.000 0.000

Properties
SG ... P4/mbm, No. 127
Formation energy from raw total energies ... -0.46 eV per atom
VASP energy ... -36.24 eV for the cell shown
Energy relative to the lowest polymorph listed for this composition ... 15 meV/atom
Total magnetic moment ... 0.000 μB per formula unit

Record 2
Material: LaCd2Sb2
Method: DFT, PBE
State: optimized geometry

Cell lengths 4.343, 4.343, 8.087 Å; angles 74.42, 74.42, 90.00 degrees
Atoms (fractional coordinates):
La 0.000 0.000 0.000
Cd 0.750 0.250 0.500
Cd 0.250 0.750 0.500
Sb 0.605 0.605 0.791
Sb 0.395 0.395 0.209

Properties
SG ... I4/mmm, No. 139
Formation energy from raw total energies ... -0.42 eV per atom
VASP energy ... -17.08 eV for the cell shown
Total magnetic moment ... 0.000 μB per formula unit

Record 3
Material: LaCdSb2
Method: DFT, PBE
State: optimized geometry

Cell lengths 8.219, 8.219, 6.828 Å; angles 52.99, 52.99, 90.00 degrees
Atoms (fractional coordinates):
Sb 0.592 0.125 0.250
Sb 0.875 0.842 0.750
Sb 0.375 0.408 0.750
Sb 0.158 0.625 0.250
Cd 0.250 0.750 0.500
Cd 0.500 0.500 0.000
La 0.750 0.250 0.500
La 0.000 0.000 0.000

Properties
SG ... I-42d, No. 122
Formation energy from raw total energies ... -0.48 eV per atom
VASP energy ... -32.05 eV for the cell shown
Total magnetic moment ... 0.000 μB per formula unit

Record 4
Material: La2CdSb
Method: DFT, PBE
State: optimized geometry

Cell lengths 6.476, 6.476, 4.591 Å; angles 89.94, 89.94, 41.69 degrees
Last column: magnetic moment on the atom in μB.
Atoms (fractional coordinates):
Sb 0.459 0.459 0.625  -0.01
-- stop --
Assignment =
Could you say how many lines of the data earlier on hold the word "Mo", as a bare number?
Reply =
1